Network of Christ-Centered, Outwardly-Focused, Faith-Growing
Communities for the Sake of the World
on the Election of Our Next Presiding Bishop
by Bishop Michael Rinehart
1.
Below is C24H22CuFN6O4 as an isolated structure in a non-equilibrium geometry, with properties calculated with ωB97M-V with the def2-TZVPD basis set.

The geometry in XYZ format:
```
58
C24H22CuFN6O4 (ωB97M-V with the def2-TZVPD basis set)
N 1.04930 -0.38894 1.44922
C 1.15313 -3.10008 -1.22543
O -1.58515 0.18630 0.34316
O -2.02614 1.36085 3.78597
H 2.50367 -2.92378 0.80589
H 0.91508 1.01349 4.50702
C -3.62615 2.26297 0.80996
C -2.01332 -3.55070 -3.33511
H -4.27897 1.84475 0.10923
C 2.23752 -0.96869 1.46715
N -3.42298 1.50510 1.93750
H 4.14002 -0.90358 2.48096
H 3.15953 -1.36325 -2.35445
C 1.05188 2.20606 -1.11743
N -0.79472 -1.76401 -1.77362
C -3.52155 0.02091 1.79002
H -4.40347 -0.31378 1.20426
N 1.11253 0.91703 -1.25950
N 1.70147 -1.81027 -0.79822
C 2.66663 0.05792 3.60415
H -3.50875 -0.43546 2.84605
C -1.94221 -1.40602 -2.36753
C 3.18612 2.66262 -2.07999
C -2.05398 3.92839 1.42447
H -3.51117 -2.10276 -3.62983
C 2.19754 -1.05501 -1.92559
H 4.12762 0.83766 -2.66098
C 2.06872 3.14290 -1.49658
C -0.21134 -2.95885 -1.92538
C -2.57002 -2.31254 -3.16510
H 1.82220 -3.67405 -1.90834
F -3.07549 4.06273 -0.65055
H -1.52662 3.68321 3.33072
H 1.41688 -1.14883 -2.73193
C 2.57190 -1.92876 0.37820
C -2.89789 3.36373 0.47162
H 3.65631 -1.75291 0.09743
C -0.80343 -3.88459 -2.74513
H -0.35633 -4.85877 -2.94904
Cu 0.02148 -0.66035 -0.24040
C -2.47821 1.98472 2.85599
C 3.10188 -0.66327 2.54245
C 3.30953 1.24360 -2.15700
H 1.00465 -3.68955 -0.31410
H -2.44531 -4.28125 -3.96315
O -1.37957 4.91682 1.31556
H 3.38843 0.34417 4.31954
H -0.43548 0.64627 2.38222
H 0.20057 2.60616 -0.64971
O -2.10167 -1.81845 1.13085
C 2.23543 0.44477 -1.78977
C -2.31474 -0.62284 1.02786
H 3.95400 3.31868 -2.45839
H 1.83283 4.18124 -1.34297
C 1.35780 0.46072 3.63050
C 0.55069 0.24998 2.52167
N -2.13436 3.28460 2.63068
H -2.27631 -0.39699 -2.18509
```

Computed properties:
F_max = 2.828 eV Å⁻¹
Total charge = +1
⟨S²⟩ = 0.753
2S+1 = 2
Kohn-Sham gap (alpha / beta) = 8.72 / 7.98 eV
M = 541.02 g/mol
LUMO energy (alpha / beta) = -2.54 / -3.29 eV
E_tot = -3297.47268 a.u.

Here are the natural (NBO) charges for atoms 1 to 5, given in e:
1 N -0.553
2 C -0.253
3 O -0.848
4 O -0.619
5 H 0.244

=====

2.
Below is C11H28AsCl2GaO2Se4Si3 as an isolated structure in a non-equilibrium geometry, with properties calculated with ωB97M-V with the def2-TZVPD basis set.

The geometry in XYZ format:
```
52
C11H28AsCl2GaO2Se4Si3 (ωB97M-V with the def2-TZVPD basis set)
Se 2.51770 -2.74411 3.82113
H -2.09854 -5.75652 0.24238
C -2.72594 -0.52329 -1.60499
H -1.02109 2.35277 2.79523
H -3.78996 -0.75353 -1.50788
C 0.69016 3.58278 0.42759
H 1.16364 -1.19003 -3.95183
Ga 0.42379 -2.30511 0.99612
Se 0.41639 -1.82610 3.36761
H 0.16152 2.25939 -2.75294
H 1.52180 1.81606 -3.79390
Si 1.35449 0.21632 -1.95174
H -2.48228 -1.08589 1.90015
H -2.62975 0.63525 2.28860
C 2.79193 1.83244 1.68337
Si -2.14123 0.37380 -0.09216
C 3.15324 -0.11712 -1.65795
Cl -0.22011 -5.22583 -1.05647
C -1.37973 -4.94978 0.27479
This summer, the ELCA Churchwide Assembly will elect the next
Presiding Bishop of the ELCA. The relatively young Evangelical
Lutheran Church in America, the result of the merger in 1988, has
had four presiding Bishops: Herbert W. Chilstrom (1987-1995), H.
George Anderson (1995-2001), Mark Hanson (2001-2013), and Elizabeth
Eaton (2013-2025).
2025 is a time for prayerful discernment. The church is at a
crossroads. Worship attendance in the US has been falling since the
1960s. The pandemic accelerated this. There are more people who
claim no religious affiliation on the census than ever before. The
influence of the church has waned. Of course, congregations often
point to one very large church in their community and say, "If
they can do it, why can't we?” but it quickly becomes clear their
theology is not ours. Some do not accept women in ministry. Some
are enamored with Christian nationalism. Some preach a prosperity
gospel that claims wealth as a sign of God's approval and blessing,
and poverty as a sign of faithlessness. Others define Christianity
Calculated molecules from another source follow >
<<<
[1]
ORCA calculation (ωB97M-V/def2-TZVPD) on a molecular structure, C25H63LiN12O10 at a distorted geometry.

Each line ends with the Mulliken charge.
Cartesian coordinates (Å):
1 O 0.9890 -3.6518 -2.2003  -0.653
2 O 1.3707 -1.4606 -2.9519  -0.983
3 O -1.6020 1.7716 4.6732  -0.482
4 O -0.6194 -1.0385 -2.2203  -0.583
5 O 0.5582 -2.3064 -0.9340  0.397
6 O 3.3694 4.4158 0.4186  -0.478
7 O -2.7763 -2.9706 0.2471  -0.519
8 O -2.3589 -1.4186 -4.5161  -0.734
9 O 0.9990 -3.9679 1.7632  -0.794
10 O -0.0184 2.7132 -3.0058  -0.656
11 N 2.4520 -2.0177 -1.1981  -0.281
12 N 3.4518 -1.6206 -3.0641  -0.004
13 N -2.2258 1.0773 3.7196  0.333
14 N -0.7213 -3.4109 3.0703  -0.409
15 N -1.2237 -3.4590 -1.2939  -0.299
16 N -2.6828 -0.6586 -2.4694  -0.390
17 N -0.5775 -2.6827 0.9829  0.187
18 N -2.8262 -4.7221 -1.2107  -0.474
19 N 0.6312 0.6263 -3.3310  -0.238
20 N 3.3583 3.2372 -0.4358  0.143
21 N -4.3839 -0.9601 -3.8228  -0.360
22 N -1.3237 1.0942 -2.4675  0.413
23 C 4.2662 1.7193 1.3782  -1.743
24 C -0.2725 -0.1109 2.6003  -2.120
25 C 3.0791 0.2830 -1.1469  0.571
26 C -2.9024 1.8803 2.6693  1.322
27 C -0.0821 -1.1830 -1.1228  1.054
28 C -1.3026 -1.1628 4.5169  -1.858
29 C 2.0647 1.3193 -1.5929  -0.597
30 C 4.4198 1.0020 -0.9381  -2.160
31 C 1.2715 3.6896 -1.6828  -2.456
32 C -3.9371 2.9049 3.3127  -1.985
33 C -1.9250 2.7062 1.7019  -1.295
34 C -0.3952 -0.2661 0.0998  -1.751
35 C 1.9929 2.6313 -0.7869  1.404
36 C 1.0265 2.4979 0.4343  -0.523
37 C -0.0804 -3.4388 1.9177  -0.054
38 C 2.3817 -1.7410 -2.4414  0.437
39 C -2.5792 -0.9531 2.4298  -0.446
40 C -3.8129 1.0299 1.8263  -2.239
41 C 5.7814 2.9338 -0.4480  -1.874
42 C -2.2781 -3.6223 -0.6927  -0.434
43 C -3.1102 -1.0079 -3.6557  0.056
44 C -0.2538 1.5167 -3.0390  0.071
45 C -1.5501 -0.2171 3.2990  2.629
46 C -3.0951 -0.1625 1.2212  0.717
47 C 4.4039 2.2459 -0.1018  1.862
48 Li 0.3383 -2.2233 -2.4423  0.549
49 H 4.2725 -1.9575 -2.5813  0.307
50 H -1.9275 1.8405 -2.1535  0.314
51 H 1.5568 1.0153 -3.4401  0.653
52 H -0.7494 -4.1675 -1.8353  0.532
53 H 1.7788 3.8735 -2.6298  0.447
54 H 3.3653 -2.3541 -0.9284  0.243
55 H 0.9112 -4.2214 -1.4350  0.269
56 H -4.4225 2.3864 4.1395  0.447
57 H 3.4397 -1.4053 -4.0508  0.302
58 H -4.5957 0.6022 2.4527  0.421
59 H -0.0227 2.6922 0.2117  0.101
60 H 0.5295 -0.0592 0.6385  1.087
61 H 0.3210 0.6245 3.1436  0.831
62 H 4.1844 2.5910 2.0275  0.468
63 H 1.3187 3.3063 1.1045  1.038
64 H -3.4111 -0.6068 -1.7715  0.159
65 H 3.4091 1.1065 1.6574  0.173
66 H 0.2618 -1.0388 2.3964  0.574
67 H -2.1517 1.5577 5.4306  0.383
68 H -1.7175 -3.2454 3.0501  0.364
69 H -0.6542 -0.8508 5.3357  0.463
70 H 5.9882 3.7654 0.2257  0.400
71 H -3.8131 -0.6826 0.5870  0.882
72 H -0.3017 0.3819 1.6285  0.553
73 H 0.4457 -0.3610 -3.2265  0.453
74 H -1.2372 2.0382 1.1834  -0.745
75 H 6.6319 2.3174 -0.1568  0.422
76 H 2.3036 1.6141 -2.6147  1.265
77 H -4.1773 1.6386 0.9988  0.618
78 H 1.2068 4.7151 -1.3190  0.281
79 H -1.2009 0.2383 -1.9455  -0.684
80 H -0.7969 -2.6278 -0.9103  0.775
>>>
as a purity religion. Although Americans tend to think bigger is
better, we recognize that we are not this expression of the church
of Jesus Christ, nor do we aspire to be.
== Data records that have nothing to do with the entry ==
'''
Record 1
96
Properties=species:S:1:pos:R:3:forces:R:3 method="wB97M-V/def2-TZVPD" relative_energy_ev=1.970 e_tot_ev=-56487.728 e_homo_ev=-9.28 smiles=OCCO.OCCO.OCCO.OCCO.OCCO.OCCO.CO.CO.CO.CO.CO.CO fmax_ha_per_bohr=0.0567 homo_lumo_gap_ev=9.688
O 3.780077 4.365563 1.761339 -0.2 0.4 0.4
C 3.502587 3.096733 1.214569 -0.5 -0.5 0.2
C 3.139337 2.068193 2.336929 1.9 0.1 -0.1
O 3.077157 0.750463 1.805069 -0.3 0.2 -0.6
H 4.727117 4.474243 1.874959 0.0 -0.1 0.0
H 2.718757 3.219203 0.467099 -0.3 -0.1 0.2
H 4.374947 2.779063 0.643459 0.0 -0.6 0.1
H 2.329487 2.294643 3.030439 -0.4 0.3 -0.6
H 4.025377 2.030283 2.970639 0.2 0.5 0.4
H 2.572837 0.169933 2.379749 -0.4 -0.3 0.2
O -0.824983 0.523703 3.154469 0.2 -1.2 0.9
C -0.650503 1.666103 3.967579 0.0 0.9 0.7
C -0.112643 1.404903 5.451029 -0.9 -1.2 -2.5
O 1.219197 0.964653 5.283809 0.7 0.9 1.1
H -0.905153 0.833853 2.249489 0.1 0.3 -0.3
H 0.109827 2.268543 3.470529 0.2 0.4 0.3
H -1.579323 2.231083 3.888899 -0.2 0.3 0.7
H -0.665713 0.624733 5.974059 -0.4 -0.3 -0.3
H -0.253263 2.258473 6.114159 0.7 0.4 -0.5
H 1.282987 0.347023 4.551639 -0.4 -0.4 -0.2
O 1.751097 -1.137837 3.414369 0.8 0.0 -0.7
C 2.851707 -1.882777 3.924329 0.8 -0.5 0.8
C 3.303297 -3.130817 3.141229 -0.6 0.8 0.9
O 3.744507 -2.775287 1.827339 -0.8 -0.8 0.6
H 1.105077 -1.765277 3.081849 -0.4 0.1 -0.1
H 3.765357 -1.292847 3.997299 -0.4 0.9 -0.2
H 2.569967 -2.079377 4.958779 0.3 -0.7 0.1
H 2.489837 -3.849087 3.243649 -0.3 -0.1 -1.4
H 4.055687 -3.657897 3.727909 0.5 0.4 0.0
H 4.615547 -2.380977 1.913349 0.1 0.1 0.0
O -0.538883 1.629523 0.413689 -0.1 -0.7 0.6
C 0.316057 0.556113 0.053499 -0.1 -1.2 0.9
C -0.344783 -0.461337 -0.832091 -0.5 0.3 -0.6
O -0.330733 0.070613 -2.106921 -0.2 0.4 -1.5
H -0.411253 2.388053 -0.160711 0.2 0.4 -0.3
H 1.268717 0.910153 -0.340461 -0.1 0.0 -0.2
H 0.548457 -0.078007 0.909059 0.2 0.7 0.9
H -1.393713 -0.650447 -0.603891 -0.3 0.2 0.8
H 0.094597 -1.458847 -0.834631 0.6 0.0 0.3
H 0.084637 -0.567537 -2.691571 0.3 0.1 -0.3
O 0.855227 -1.264887 -4.042621 -0.6 -0.3 -0.3
C -0.300173 -1.644477 -4.795831 -0.2 -1.2 -0.8
C -0.707623 -3.143927 -4.699541 0.1 1.1 0.2
O -1.016403 -3.486987 -3.382391 0.6 -0.6 0.2
H 1.597357 -1.803577 -4.326611 0.1 -0.1 0.1
H -1.170843 -1.077407 -4.466511 0.3 0.3 0.3
H -0.143483 -1.426497 -5.852251 0.1 0.2 -0.2
H 0.061327 -3.808687 -5.093151 0.2 0.0 0.2
H -1.593923 -3.293667 -5.316101 -0.1 0.1 -0.5
H -1.774203 -2.956377 -3.125881 -0.5 0.3 0.5
O -5.078993 1.089263 1.488239 -0.4 0.5 -0.2
C -3.771953 0.556643 1.458699 0.0 -1.1 -0.3
C -3.901263 -0.963577 1.269269 1.9 0.3 0.4
O -4.361633 -1.398757 -0.002431 -0.8 0.6 0.3
H -5.231243 1.451333 0.612269 -0.3 0.2 0.1
H -3.179253 1.028003 0.674709 0.1 -0.1 -0.1
H -3.266303 0.738433 2.407049 -0.1 0.0 0.1
H -4.525553 -1.322667 2.087459 -0.1 -0.3 -0.1
H -2.913553 -1.421077 1.325929 0.1 0.0 0.5
H -5.265703 -1.075927 -0.009391 -0.4 -0.1 -0.5
C -4.391613 -2.119327 -3.368241 0.4 0.3 0.6
O -3.257383 -2.049247 -2.474801 -0.3 -0.2 -1.5
'''
== Back to the entry ==
Gift of Transportation
by Pastor Cynthia Robles
The Burton Bridge Ministry is a non-profit ministry that is
supported by several churches in the area, but specifically, there
are three ELCA churches who support it: Greenvine Emmanuel
Lutheran, St. Paul’s Rehburg, and Zion Lutheran of Zionsville. I
have been serving as the Pastor at Greenvine Emmanuel Lutheran
since 2020 and have connected with the Burton Bridge Ministry in
several ways.
Since I have been here, they have created a choice food pantry that
serves over 600 clients, moved the corner shoppe to a new building,
built a new building for their furniture sales, sponsored a summer
camp for youth, created a program for reading with children, and
have sponsored a health fair for people in the community. I am sure
there are many other areas they have assisted, and we have been a
part of in this community.
Pieces: Creation Care Tips from the Synod Lutherans Restoring
Creation Team
by Lisa Brenskelle
The mission of Lutherans Restoring Creation is to
promote incorporation of care for creation into the full life and
mission of the church, working in five areas: worship, education,
discipleship, building & grounds, and public ministry/advocacy.
Creation Care Events
Contact gcs.lrc@gmail.com for details on
any of these events.